Now search the contents below for the word "In" and duplicate each line that has it.

/*
5
Lattice="4.7953 0.0000 0.0000 0.0000 4.7953 0.0000 0.0000 0.0000 5.1108" Properties=species:S:1:pos:R:3 comment="Zn2HgPRh PBE optimized geometry" crystal_system=tetragonal dos_ef_per_ev_cell=3.89 total_energy_ha_per_atom=-0.073 formation_energy_ev_per_atom=1.147 pbc="T T T"
Zn 0.0000 2.3976 0.0000
Zn 2.3976 0.0000 0.0000
Hg 0.0000 0.0000 0.0000
P 2.3976 2.3976 2.5554
Rh 0.0000 0.0000 2.5554

* * * * *

Record 1
PBE ZnInBi2, optimized geometry; ΔH_f (0 K) = 0.1236 eV per atom; raw total energy = -2.820 eV/atom; density of states at the Fermi level = 0.35 states/eV/atom
1.0
3.8389 0.0000 0.0000
0.0000 3.8389 0.0000
0.0000 0.0000 7.4370
Zn In Bi
1 1 2
Cartesian
0.0000 0.0000 0.0000
0.0000 0.0000 3.7185
1.9194 1.9194 1.6157
1.9194 1.9194 5.8213

=====

Record 2
PBE ZnIn9Bi2, optimized geometry; ΔH_f (0 K) = 0.0482 eV per atom; raw total energy = -2.759 eV/atom; density of states at the Fermi level = 0.32 states/eV/atom
1.0
4.6854 0.0000 0.0000
0.0000 4.6854 0.0000
0.0000 0.0000 15.0335
Zn In Bi
1 9 2
Cartesian
0.0000 0.0000 0.0000
0.0000 2.3427 2.3157
0.0000 2.3427 7.5167
0.0000 2.3427 12.7178
2.3427 0.0000 2.3157
2.3427 0.0000 7.5167
2.3427 0.0000 12.7178
2.3427 2.3427 0.0000
2.3427 2.3427 5.0084
2.3427 2.3427 10.0250
0.0000 0.0000 4.8535
0.0000 0.0000 10.1800

=====

Record 3
PBE Zn2In2Bi, optimized geometry; ΔH_f (0 K) = 0.1298 eV per atom; raw total energy = -2.251 eV/atom; density of states at the Fermi level = 0.48 states/eV/atom
1.0
-1.8401 1.8401 9.2998
1.8401 -1.8401 9.2998
1.8401 1.8401 -9.2998
Zn In Bi
2 2 1
Cartesian
1.8401 0.0000 4.6499
0.0000 1.8401 4.6499
0.0000 0.0000 2.1974
0.0000 0.0000 16.4023
0.0000 0.0000 9.2998

=====

Record 4
PBE ZnInBi2, optimized geometry; ΔH_f (0 K) = 0.1153 eV per atom; raw total energy = -2.828 eV/atom; density of states at the Fermi level = 0.52 states/eV/atom
1.0
3.9486 -2.2505 0.0000
3.9486 2.2505 0.0000
-2.6290 0.0000 6.5596
Zn In Bi
1 1 2
Cartesian
0.0000 0.0000 0.0000
0.0244 0.0000 3.2876
2.6046 0.0000 1.4082
2.6780 0.0000 5.1744

=====

Record 5
PBE Zn3In12Bi5, optimized geometry; ΔH_f (0 K) = 0.1328 eV per atom; raw total energy = -2.672 eV/atom; density of states at the Fermi level = 0.43 states/eV/atom
1.0
-8.6433 8.6433 8.6433
8.6433 -8.6433 8.6433
8.6433 8.6433 -8.6433
Zn In Bi
12 48 20
Cartesian
4.3216 2.1608 0.0000
8.6433 4.3216 -2.1608
2.1608 0.0000 4.3216
10.8041 0.0000 4.3216
0.0000 4.3216 2.1608
4.3216 -2.1608 8.6433
4.3216 10.8041 0.0000
8.6433 4.3216 6.4825
-2.1608 8.6433 4.3216
6.4825 8.6433 4.3216
0.0000 4.3216 10.8041
4.3216 6.4825 8.6433
8.3214 -1.6303 2.6037
13.2867 -1.7180 2.6913
2.6037 -0.3218 1.6303
10.3612 5.9520 -4.6435
11.2470 0.3218 1.6303
10.3612 -2.6913 4.6435
1.6303 2.6037 -0.3218
11.3346 3.9998 -1.7180
5.9520 4.6435 -1.7180
7.0129 2.6037 0.3218
-0.3218 1.6303 2.6037
4.6435 -1.7180 5.9520
8.3214 7.0129 -2.6037
4.6435 1.7180 2.6913
7.0129 -2.6037 8.3214
5.9520 -4.6435 10.3612
2.6913 4.6435 1.7180
10.2736 6.0396 0.3218
2.6037 8.3214 -1.6303
10.3612 2.6913 3.9998
1.7180 2.6913 4.6435
2.6037 0.3218 7.0129
4.6435 10.3612 -2.6913
8.3214 1.6303 6.0396
0.3218 7.0129 2.6037
3.9998 -1.7180 11.3346
6.0396 8.3214 1.6303
6.9253 5.9520 3.9998
-1.7180 5.9520 4.6435
6.0396 0.3218 10.2736
-1.6303 2.6037 8.3214
5.9520 3.9998 6.9253
2.6913 13.2867 -1.7180
1.6303 11.2470 0.3218
3.9998 6.9253 5.9520
0.3218 1.6303 11.2470
3.9998 10.3612 2.6913
8.9651 7.0129 6.0396
1.6303 6.0396 8.3214
2.6913 3.9998 10.3612
-2.6913 4.6435 10.3612
7.0129 6.0396 8.9651
-1.7180 11.3346 3.9998
-2.6037 8.3214 7.0129
-1.7180 2.6913 13.2867
6.0396 8.9651 7.0129
-4.6435 10.3612 5.9520
0.3218 10.2736 6.0396
0.0000 0.0000 0.0000
4.3216 4.3216 -4.3216
4.3216 -4.3216 4.3216
8.6433 0.0000 0.0000
12.9649 2.1608 0.0000
8.6433 -4.3216 6.4825
6.4825 8.6433 -4.3216
6.4825 0.0000 4.3216
4.3216 6.4825 0.0000
8.6433 4.3216 2.1608
-4.3216 4.3216 4.3216
0.0000 8.6433 0.0000
0.0000 0.0000 8.6433
4.3216 4.3216 4.3216
0.0000 4.3216 6.4825
4.3216 2.1608 8.6433
2.1608 8.6433 4.3216
2.1608 0.0000 12.9649
*/

Zn In Bi
Zn In Bi
Zn In Bi
Zn In Bi
Zn In Bi